Input:
+++
# 1
Starting from DFT lattice parameters and positions (PBE), the powder diffraction line list of Li8Sb3 was simulated for λ = 1.5418 Å (Cu Kα).
Lines closer than 0.1° are merged.

Most intense lines, 2θ from 5° to 70°, in order of falling intensity:
- d 3.855, 23.07 deg, intensity 100
- d 3.346, 26.64 deg, intensity 56
- d 6.692, 13.23 deg, intensity 47
- d 3.889, 22.86 deg, intensity 34
- d 2.017, 44.95 deg, intensity 34
- d 2.374, 37.90 deg, intensity 33
- d 2.358, 38.16 deg, intensity 32
- d 4.748, 18.69 deg, intensity 18

Structure:
```
11
Lattice="4.717 2.723 3.889 -4.717 2.723 3.889 0.000 -5.446 3.889" Properties=species:S:1:pos:R:3 pbc="T T T"
Li 0.000 0.000 2.545
Li 0.000 -3.043 4.724
Li -2.636 1.522 4.724
Li -2.636 -1.522 6.944
Li 2.636 1.522 4.724
Li 2.636 -1.522 6.944
Li 0.000 3.043 6.944
Li 0.000 0.000 9.123
Sb -4.717 0.000 5.834
Sb -2.358 1.362 1.945
Sb 2.358 1.362 1.945
```

---

# 2
Starting from DFT lattice parameters and positions (PBE), the powder diffraction line list of Ac2CoC was simulated for λ = 1.5418 Å (Cu Kα).
Lines closer than 0.1° are merged.

Most intense lines, 2θ from 5° to 70°, in order of falling intensity:
- d 2.697, 33.22 deg, intensity 100
- d 3.084, 28.96 deg, intensity 83
- d 2.184, 41.35 deg, intensity 69
- d 2.967, 30.12 deg, intensity 66
- d 3.721, 23.91 deg, intensity 62
- d 3.593, 24.78 deg, intensity 60
- d 3.805, 23.38 deg, intensity 57
- d 2.374, 37.89 deg, intensity 47

Structure:
```
8
Lattice="3.702 0.000 0.000 -0.018 7.872 0.000 -1.849 -1.963 7.443" Properties=species:S:1:pos:R:3 pbc="T T T"
Ac -0.036 -0.001 1.832
Ac 0.025 3.935 1.832
Ac 1.811 1.974 5.611
Ac 1.872 5.909 5.611
Co -0.003 0.005 7.442
Co 1.839 5.904 0.001
C 1.848 0.005 7.443
C -0.012 5.904 0.000
```

---

# 3
Starting from DFT lattice parameters and positions (PBE), the powder diffraction line list of Tl2CdI8 was simulated for λ = 1.5418 Å (Cu Kα).
Lines closer than 0.1° are merged.

Most intense lines, 2θ from 5° to 70°, in order of falling intensity:
- d 3.509, 25.38 deg, intensity 100
- d 2.278, 39.56 deg, intensity 82
- d 2.683, 33.39 deg, intensity 70
- d 5.521, 16.05 deg, intensity 51
- d 4.034, 22.04 deg, intensity 48
- d 3.468, 25.69 deg, intensity 45
- d 2.356, 38.20 deg, intensity 42
- d 2.084, 43.42 deg, intensity 36

Structure:
```
22
Lattice="10.542 -4.712 0.000 10.542 4.712 0.000 -9.752 0.000 10.743" Properties=species:S:1:pos:R:3 pbc="T T T"
Tl -0.695 2.433 10.328
Tl 7.150 2.433 5.787
Tl 4.181 -2.433 4.956
Tl 12.027 -2.433 0.415
Cd 8.104 0.049 2.686
Cd 3.228 -0.049 8.057
I 1.204 2.345 8.194
I 3.067 0.020 0.733
I -1.809 -0.020 6.105
I 5.960 2.137 3.193
I 5.251 2.345 7.921
I -2.288 0.015 10.518
I 2.588 -0.015 5.146
I 10.247 2.137 2.179
I 1.084 -2.137 8.564
I 8.743 0.015 5.597
I 13.619 -0.015 0.226
I 6.080 -2.345 2.823
I 5.371 -2.137 7.550
I 13.140 0.020 4.638
I 8.264 -0.020 10.010
I 10.128 -2.345 2.549
```

----------

(1)
The following is a simulated powder diffraction line list of Pm4SbSe3. It was derived from a cell relaxed with GGA-PBE, using Cu Kα (weighted mean of Kα1 and Kα2).

Crystal structure
```
Pm4SbSe3
1.0
4.2797 0.0000 0.0000
0.0000 6.0465 0.0000
0.0000 0.0000 8.5593
Pm Sb Se
4 1 3
direct
0.0000 0.0000 0.0000
0.0000 0.0000 0.5000
0.5000 0.5000 0.2402
0.5000 0.5000 0.7598
0.0000 0.5000 0.5000
0.0000 0.5000 0.0000
0.5000 0.0000 0.2481
0.5000 0.0000 0.7519
```

Main lines, by angle (5 to 70 degrees two-theta):
two_theta  Rel. int.
23.2  1
25.5  11
27.6  1
29.5  100
42.2  75
50.0  5
52.4  26
61.3  12
67.5  2
69.5  34

***

(2)
The following is a simulated powder diffraction line list of Cs3Sr2I2Br5. It was derived from a cell relaxed with GGA-PBE, using Cu Kα (weighted mean of Kα1 and Kα2).

Crystal structure
```
Cs3Sr2I2Br5
1.0
-3.0041 3.0041 15.7447
3.0041 -3.0041 15.7447
3.0041 3.0041 -15.7447
Cs Sr I Br
3 2 2 5
direct
0.0000 0.0000 0.0000
0.1782 0.1782 0.0000
0.8218 0.8218 0.0000
0.4037 0.4037 0.0000
0.5963 0.5963 0.0000
0.3003 0.3003 0.0000
0.6997 0.6997 0.0000
0.0933 0.5933 0.5000
+++
To do:
Retype all of the material further above word for word.
Here it is:
# 1
Starting from DFT lattice parameters and positions (PBE), the powder diffraction line list of Li8Sb3 was simulated for λ = 1.5418 Å (Cu Kα).
Lines closer than 0.1° are merged.

Most intense lines, 2θ from 5° to 70°, in order of falling intensity:
- d 3.855, 23.07 deg, intensity 100
- d 3.346, 26.64 deg, intensity 56
- d 6.692, 13.23 deg, intensity 47
- d 3.889, 22.86 deg, intensity 34
- d 2.017, 44.95 deg, intensity 34
- d 2.374, 37.90 deg, intensity 33
- d 2.358, 38.16 deg, intensity 32
- d 4.748, 18.69 deg, intensity 18

Structure:
```
11
Lattice="4.717 2.723 3.889 -4.717 2.723 3.889 0.000 -5.446 3.889" Properties=species:S:1:pos:R:3 pbc="T T T"
Li 0.000 0.000 2.545
Li 0.000 -3.043 4.724
Li -2.636 1.522 4.724
Li -2.636 -1.522 6.944
Li 2.636 1.522 4.724
Li 2.636 -1.522 6.944
Li 0.000 3.043 6.944
Li 0.000 0.000 9.123
Sb -4.717 0.000 5.834
Sb -2.358 1.362 1.945
Sb 2.358 1.362 1.945
```

---

# 2
Starting from DFT lattice parameters and positions (PBE), the powder diffraction line list of Ac2CoC was simulated for λ = 1.5418 Å (Cu Kα).
Lines closer than 0.1° are merged.

Most intense lines, 2θ from 5° to 70°, in order of falling intensity:
- d 2.697, 33.22 deg, intensity 100
- d 3.084, 28.96 deg, intensity 83
- d 2.184, 41.35 deg, intensity 69
- d 2.967, 30.12 deg, intensity 66
- d 3.721, 23.91 deg, intensity 62
- d 3.593, 24.78 deg, intensity 60
- d 3.805, 23.38 deg, intensity 57
- d 2.374, 37.89 deg, intensity 47

Structure:
```
8
Lattice="3.702 0.000 0.000 -0.018 7.872 0.000 -1.849 -1.963 7.443" Properties=species:S:1:pos:R:3 pbc="T T T"
Ac -0.036 -0.001 1.832
Ac 0.025 3.935 1.832
Ac 1.811 1.974 5.611
Ac 1.872 5.909 5.611
Co -0.003 0.005 7.442
Co 1.839 5.904 0.001
C 1.848 0.005 7.443
C -0.012 5.904 0.000
```

---

# 3
Starting from DFT lattice parameters and positions (PBE), the powder diffraction line list of Tl2CdI8 was simulated for λ = 1.5418 Å (Cu Kα).
Lines closer than 0.1° are merged.

Most intense lines, 2θ from 5° to 70°, in order of falling intensity:
- d 3.509, 25.38 deg, intensity 100
- d 2.278, 39.56 deg, intensity 82
- d 2.683, 33.39 deg, intensity 70
- d 5.521, 16.05 deg, intensity 51
- d 4.034, 22.04 deg, intensity 48
- d 3.468, 25.69 deg, intensity 45
- d 2.356, 38.20 deg, intensity 42
- d 2.084, 43.42 deg, intensity 36

Structure:
```
22
Lattice="10.542 -4.712 0.000 10.542 4.712 0.000 -9.752 0.000 10.743" Properties=species:S:1:pos:R:3 pbc="T T T"
Tl -0.695 2.433 10.328
Tl 7.150 2.433 5.787
Tl 4.181 -2.433 4.956
Tl 12.027 -2.433 0.415
Cd 8.104 0.049 2.686
Cd 3.228 -0.049 8.057
I 1.204 2.345 8.194
I 3.067 0.020 0.733
I -1.809 -0.020 6.105
I 5.960 2.137 3.193
I 5.251 2.345 7.921
I -2.288 0.015 10.518
I 2.588 -0.015 5.146
I 10.247 2.137 2.179
I 1.084 -2.137 8.564
I 8.743 0.015 5.597
I 13.619 -0.015 0.226
I 6.080 -2.345 2.823
I 5.371 -2.137 7.550
I 13.140 0.020 4.638
I 8.264 -0.020 10.010
I 10.128 -2.345 2.549
```

----------

(1)
The following is a simulated powder diffraction line list of Pm4SbSe3. It was derived from a cell relaxed with GGA-PBE, using Cu Kα (weighted mean of Kα1 and Kα2).

Crystal structure
```
Pm4SbSe3
1.0
4.2797 0.0000 0.0000
0.0000 6.0465 0.0000
0.0000 0.0000 8.5593
Pm Sb Se
4 1 3
direct
0.0000 0.0000 0.0000
0.0000 0.0000 0.5000
0.5000 0.5000 0.2402
0.5000 0.5000 0.7598
0.0000 0.5000 0.5000
0.0000 0.5000 0.0000
0.5000 0.0000 0.2481
0.5000 0.0000 0.7519
```

Main lines, by angle (5 to 70 degrees two-theta):
two_theta  Rel. int.
23.2  1
25.5  11
27.6  1
29.5  100
42.2  75
50.0  5
52.4  26
61.3  12
67.5  2
69.5  34

***

(2)
The following is a simulated powder diffraction line list of Cs3Sr2I2Br5. It was derived from a cell relaxed with GGA-PBE, using Cu Kα (weighted mean of Kα1 and Kα2).

Crystal structure
```
Cs3Sr2I2Br5
1.0
-3.0041 3.0041 15.7447
3.0041 -3.0041 15.7447
3.0041 3.0041 -15.7447
Cs Sr I Br
3 2 2 5
direct
0.0000 0.0000 0.0000
0.1782 0.1782 0.0000
0.8218 0.8218 0.0000
0.4037 0.4037 0.0000
0.5963 0.5963 0.0000
0.3003 0.3003 0.0000
0.6997 0.6997 0.0000
0.0933 0.5933 0.5000